
City of Hampton

5265 238th Street East • P.O. BOX 128 • Hampton, MN 55031 • United States of America • 651.437.8846

Hampton City Council Meetings Happen Every Second Tuesday of the Month.


Friday, June 12, 2020

Hampton City Council Regular Meeting Minutes for May 12, 2020

Molecular data, as found in the file.
........
(1)
18
Properties=species:S:1:pos:R:3 method="wB97M-V/def2-TZVPD" e_above_lowest_kcal_mol=0.0 fmax_ha_per_bohr=0.005 total_energy_ev=-10818.375 homo_lumo_gap_ev=10.3 total_charge=0 lumo_ev=0.716
C -1.566 -0.565 0.172
N -0.173 -0.418 0.581
C 0.672 0.349 -0.211
N 1.938 0.455 0.315
N 0.242 0.852 -1.307
H -2.083 -1.137 0.940
H -2.024 0.419 0.082
H -1.681 -1.054 -0.791
H 0.250 -1.271 0.926
H 2.008 0.505 1.323
H 2.553 1.079 -0.177
H 0.903 1.524 -1.687
H -0.047 1.193 3.713
H 0.007 0.446 2.354
O 0.553 0.739 3.109
H -0.410 -0.471 -2.562
H -0.267 -1.465 -3.733
O -0.877 -1.180 -3.047

(2)
18
Properties=species:S:1:pos:R:3 method="wB97M-V/def2-TZVPD" e_above_lowest_kcal_mol=167.3 fmax_ha_per_bohr=0.011 total_energy_ev=-10811.121 homo_lumo_gap_ev=9.1 total_charge=0 lumo_ev=0.325
C 0.443 0.000 0.716
C -0.524 1.189 0.743
N -0.294 2.121 1.841
O 1.787 0.320 0.470
H 1.856 0.745 -0.396
H -0.482 1.688 2.739
H 0.672 2.431 1.850
H 0.427 -0.498 1.682
H 0.126 -0.337 -0.658
H -0.456 1.736 -0.201
H -1.544 0.805 0.799
N -0.014 -0.672 -1.804
N 0.104 -1.977 -1.752
O -1.404 -0.351 -1.958
H -1.804 -1.197 -2.217
H 0.053 -1.603 0.329
H -0.049 -2.212 -0.361
H 1.102 -2.188 -1.821

(3)
18
Properties=species:S:1:pos:R:3 method="wB97M-V/def2-TZVPD" e_above_lowest_kcal_mol=30.0 fmax_ha_per_bohr=0.063 total_energy_ev=-10817.072 homo_lumo_gap_ev=9.5 total_charge=0 lumo_ev=0.577
C -0.569 0.649 2.172
N -0.766 -0.031 0.936
C -0.206 0.421 -0.288
N 0.926 1.206 -0.235
N -0.945 0.119 -1.285
H -0.639 1.764 2.207
H -1.347 0.445 2.911
H 0.457 0.454 2.527
H -1.713 -0.345 0.813
H 1.016 1.742 0.621
H 1.840 0.774 -0.293
H -0.477 0.360 -2.160
H -2.412 -4.801 0.426
H -1.961 -3.804 -0.645
O -2.329 -4.699 -0.516
H 3.905 2.887 -1.522
H 2.741 1.988 -1.280
O 3.381 2.535 -0.795

(4)
18
Properties=species:S:1:pos:R:3 method="wB97M-V/def2-TZVPD" e_above_lowest_kcal_mol=68.7 fmax_ha_per_bohr=0.149 total_energy_ev=-10251.989 homo_lumo_gap_ev=11.0 total_charge=+1 lumo_ev=-3.063
C -0.633 1.228 -1.162
C -0.098 -0.074 -0.701
N -0.557 -1.168 -1.271
N 1.532 1.092 0.706
N 1.003 -0.056 0.079
N 1.422 -1.217 0.393
O -1.433 -0.491 1.470
H -1.631 1.448 -0.711
H -0.925 1.150 -2.181
H 0.182 1.955 -0.902
H -1.586 -1.191 -1.498
H -0.271 -2.100 -0.941
H 2.063 1.774 0.072
H 0.662 1.585 0.964
H 2.479 -1.335 0.430
H -2.362 -0.295 1.697
H 1.175 -1.620 1.220
H -1.024 -0.685 2.335

(5)
19
Properties=species:S:1:pos:R:3 method="wB97M-V/def2-TZVPD" e_above_lowest_kcal_mol=48.1 fmax_ha_per_bohr=0.029 total_energy_ev=-11746.014 homo_lumo_gap_ev=9.7 total_charge=0 lumo_ev=1.008
C -0.508 1.084 -1.707
C -1.232 -1.103 -0.246
N -0.955 0.320 -0.065
O 0.572 0.587 -2.089
H 1.468 1.208 -0.307
H -1.787 0.802 0.272
H -0.533 2.127 -1.335
H -1.454 0.813 -2.213
H -2.162 -1.212 -0.802
H -1.336 -1.612 0.713
H -0.416 -1.543 -0.816
N -0.097 -0.066 2.144
N 1.830 -0.717 0.201
N 0.110 0.695 0.995
N 1.408 0.615 0.533
H 0.506 -0.888 2.157
H 0.060 0.523 2.953
H 2.820 -0.779 0.414
H 1.705 -0.853 -0.803

(6)
18
........

The Hampton City Council met on Tuesday, May 12, 2020 for the regular scheduled meeting by video / telephonic means due to COVID-19. Participants in the conference call were Mayor Knetter; Council Members Anthony Verch, Kati Evertz-Garcia, and David Luhring. Council Member Victor Anderson was absent. Also present was Cory Bienfang, City Engineer; and Marlin Reinardy, Water and Sewer Superintendent.

Regular Meeting called to Order - Mayor Knetter called the Regular Scheduled Meeting to order at 7:05 p.m. Disclosure of Interest – Luhring stated that he would be mentioning ordinance violations and wanted to acknowledge that he had noxious weeds on his property he would be addressing.
Approval of April 14, 2020 Regular Scheduled Meeting Minutes – Motion by Evertz-Garcia seconded by Luhring to approve the April 14, 2020 Regular Scheduled Meeting Minutes. All voted in favor by roll call. None opposed. Motion passed 4:0.
Approval of Disbursements – Motion by Verch seconded by Luhring to approve the May disbursements. All voted in favor by roll call. None opposed. Motion passed 4:0.
Public Comment – None.
Petitions, Requests, and Communications – Luhring commented that the street sweeping went well and that he had letters sent to residents in violation of ordinances in regards to illegal dumping of trash / debris and motorized vehicles on private and city property. Luhring requested that enforcement of city ordinances be placed on the June agenda.

== The text is interrupted by calculated molecules ==
DFT (ωB97M-V/def2-TZVPD) results for a cluster of 20 separate species, C23H85N4O28P2 in total in a non-equilibrium geometry.

HOMO energy, eV: -11.72
Charge: +1
Kohn-Sham gap, eV: 9.379
Energy, Ha: -3935.3740
E_LUMO, Ha: -0.0861

Geometry (Å):
H (-4.1805, -1.3421, 1.8408)
H (1.7806, 0.0046, -4.7035)
H (-1.8598, 2.7708, -2.3439)
H (-2.9460, -1.2261, 4.4031)
H (0.5033, 5.1396, -3.1214)
H (1.8360, 3.7099, -1.2577)
H (-1.7342, -1.9965, 2.6456)
H (-0.3051, 0.2524, -2.0987)
H (-0.9897, 6.0732, -0.1221)
O (5.3106, -6.5598, 1.5684)
H (-2.7712, -0.9324, -1.9781)
P (-2.2074, 2.6120, -0.9672)
H (2.6667, -1.6980, 1.3446)
H (1.3747, 4.8304, 2.9258)
O (8.1688, -4.6906, 2.1384)
C (2.1356, -1.3510, 2.3153)
H (-1.7177, 2.4343, -7.7761)
N (0.8297, 2.7736, 2.9907)
C (0.4465, 4.4777, 4.9147)
H (8.1553, -6.1519, 0.1430)
O (-0.2810, -4.0416, 3.1737)
O (-1.3348, 1.9083, -8.4943)
H (7.8425, -3.7924, 2.2722)
H (-7.4683, 3.9050, 1.9352)
O (1.6799, -7.9008, 0.4048)
H (-2.1059, 1.5393, 3.5732)
H (4.2528, -3.5117, 2.4852)
O (4.5258, -0.3893, -4.8767)
H (5.4708, -0.5139, -4.7247)
O (-2.7488, 3.6514, -6.6432)
H (-0.5125, -2.5149, -0.5814)
C (-0.0072, 0.3721, 2.4162)
C (0.9670, 0.3301, 4.9398)
O (-3.9759, 4.5879, 0.9101)
H (4.2814, -9.9287, 0.8662)
C (-0.3356, 1.9598, 2.4908)
H (1.8827, 0.9597, 4.6933)
C (0.7596, 3.3276, -1.4380)
H (-0.0028, -2.2773, -2.3214)
H (-4.9034, -2.7171, -1.9129)
C (-2.1801, -1.9065, -2.0710)
H (-3.8325, 0.4566, 4.2406)
H (-5.0361, 0.6364, -5.8345)
O (3.3606, -2.2007, 4.3419)
H (-2.0282, 1.8870, -9.1642)
C (0.6133, 4.2813, -3.8878)
C (-3.3828, -0.5932, 2.2294)
H (-3.5239, 3.1629, -6.9566)
H (-0.0301, -1.4024, 3.9167)
H (1.8179, 2.5108, -3.2893)
O (-5.0351, 1.5250, -6.2080)
H (-1.8597, -0.7320, -5.4358)
H (-0.1699, -1.1495, 1.0723)
H (1.3204, 5.1294, 5.2529)
H (-5.3391, -2.5078, -4.6790)
H (-5.5562, 2.2803, -3.7247)
O (-2.7381, 1.1414, 6.6714)
N (-0.8161, -0.3839, 1.3943)
O (-3.1408, 5.5256, -1.4443)
H (-3.0762, 4.5499, -6.5137)
H (-2.1843, -1.8762, 0.9217)
H (0.0980, 4.2213, -1.2113)
C (3.3357, -1.3678, 3.3975)
C (-0.6883, -1.8449, -1.4993)
O (-4.4094, -3.0453, -1.1245)
H (9.9825, -7.3042, 0.8214)
H (2.5156, -8.3847, 0.4336)
H (-2.0913, 0.0993, -0.2587)
C (0.7800, 2.9259, -3.0202)
H (7.3977, -5.1738, 1.8147)
C (1.5549, 0.1122, 2.0132)
H (-2.1559, -2.1679, -3.1895)
H (1.3598, -2.1634, 2.5128)
H (2.2763, 0.8023, 2.5931)
O (0.7433, 0.1109, 6.1662)
H (4.3666, -0.8219, -5.7247)
H (-0.1495, -4.8906, 2.7308)
H (5.7288, -9.4863, 0.7069)
H (-1.4635, 3.4954, -4.4767)
O (-2.4520, -4.1971, -1.0447)
H (-3.1326, 1.6541, 1.6302)
H (-5.4183, -3.7716, -3.8342)
C (-3.8833, 0.8036, 1.6553)
N (-1.4117, 2.2913, 3.5014)
H (-5.6672, 2.0113, -5.6592)
H (-4.2949, 0.6435, 0.5968)
H (1.5392, 4.5270, -4.5050)
H (-0.3216, 4.0446, -5.9118)
H (-1.8290, 0.8139, 6.7101)
H (5.3594, -4.3593, 1.8725)
H (-1.1674, 5.2721, -4.8276)
H (1.5179, 6.6940, -1.2935)
H (-3.6098, 5.0278, 1.7226)
H (-6.6640, 3.1346, -3.1220)
O (4.8223, -9.1558, 0.6601)
H (-4.7547, 1.1648, 2.3224)

Reports of Officers, Boards, and Committees
Engineer Report – Cory Bienfang, City Engineer explained that the 2019 Street Project’s final punch list items were about completed, including the repair of some concrete and final grading. Bienfang said that final pavement will be laid on Thursday.

Water / Sewer Report – Marlin Reinardy, Water and Sewer Superintendent mentioned that discharge tests were coming back well and he was working with Minnesota Rural Water Association in measuring the sludge reduction in pond #1. Reinardy said that he planned to purchase chemicals from State Chemical and would measure now and then again in one year to see if the process would be a benefit. The Superintendent explained that MRWA would assist at no charge and the chemicals would run about $10,000.00 versus drudging the pond and trying to find a way to dispose of the material for around $240,000.00. Council felt that working with the MRWA was a better option. Motion by Luhring seconded by Verch to move forward on cleaning the pond. All voted in favor by roll call. None opposed. Motion passed 4:0. Reinardy confirmed that hydrants would be flushed the first week in June.
Park Report – Evertz-Garcia confirmed with Marlin Reinardy that there would be some possible baseball practice games this year with social distancing and was in favor of opening the parks to the public with a disclaimer posted. Knetter stated that he would be fine with opening the parks and recreation as long as it didn’t go against any stay at home order or Governor’s direction. Council agreed to prepare the tennis court and open the public restrooms for anyone out walking. Knetter thanked Reinardy for cleaning up the park where the latest tree trimming took place.
Street Report – Luhring felt that a few of the streets up at the Heights of Hampton and Main Street needed some patching and would work with the Clerk to schedule the project.
Unfinished Business – None.

• Next to the piece, the page also holds quantum chemistry results:
┌──
9
Properties=species:S:1:pos:R:3 method="wB97M-V/def2-TZVPD" orbital_gap_ev=7.1 de_lowest_kj_mol=501.2 homo_ev=-7.99 total_energy_ev=-6715.529
C 0.419 0.955 0.041
C -0.819 1.358 0.222
C -1.645 0.377 -0.070
C 0.670 -0.581 0.054
C -0.602 -1.287 0.030
N -1.844 -0.858 -0.207
H 1.279 1.626 -0.097
H 1.214 -0.694 -0.901
H 1.326 -0.896 0.930
└──

New Business-
Liquor License Fee Adjustment – Council felt that the City could look at a rebate on the Liquor License fees due to COVID-19. Motion by Lurhing seconded by Verch to issue a rebate to Meric’s and the Round Up in an amount to be determined at a later date after the shut down could be lifted. All voted in favor by roll call. None opposed. Motion passed 4:0.
2019 Street Project Easement / ROW Negotiations  Knetter stated that in regards to the 2019 Street Project, the area on Main Street is in negotiations and that the City had an appeal on the assessment of the portion along Belmont and that the City Attorney was involved and would be acquiring an appraisal which could cost between $4,000.00 and $6,000.00. Cory Bienfang also mentioned that the property owner would be receiving their own appraisal and that if negotiations did not come into place, then a hearing would commence to confirm the benefit to the property was accurate.
Adjournment - Motion by Verch seconded by Luhring to adjourn the meeting. All voted in favor by roll call. None opposed. Motion passed 4:0. The meeting adjourned at 7:50 p.m. Respectfully submitted, Wendy Carpenter